## Exercise
Could you echo the data below unchanged?
## Excerpt
DFT (ωB97M-V/def2-TZVPD) results for C3H3InO3 as an isolated structure in a non-equilibrium geometry.

Properties
highest occupied orbital energy (alpha / beta) = -21.79 / -19.26 eV
lowest unoccupied orbital energy (alpha / beta) = -12.003 / -13.941 eV
gap between HOMO and LUMO (alpha / beta) = 9.79 / 5.32 eV
relative energy (zero: lowest compared OMol25 entry of this formula, charge and spin) = 0.000 eV

Structure (ORCA input):
```
! wB97M-V def2-TZVPD RIJCOSX def2/J DEFGRID3
* xyz 2 1
C 0.134 -0.276 1.255
O 0.362 -0.094 -1.787
C 0.697 0.696 -0.858
C -0.819 -1.151 0.958
O 1.027 0.290 0.352
O 0.664 1.946 -1.055
H 0.292 0.141 2.249
H -0.925 -1.607 -0.024
H -1.516 -1.432 1.747
In 0.084 1.488 -2.836
*
```

***

DFT (ωB97M-V/def2-TZVPD) results for an isolated ion of composition C6H10N and charge +1 in a non-equilibrium geometry.

Properties
highest occupied orbital energy = -13.85 eV
lowest unoccupied orbital energy = -6.109 eV
gap between HOMO and LUMO = 7.74 eV
relative energy (zero: lowest compared OMol25 entry of this formula, charge and spin) = 4.457 eV

Structure (ORCA input):
```
! wB97M-V def2-TZVPD RIJCOSX def2/J DEFGRID3
* xyz 1 1
C -1.029 1.253 -0.483
C -1.663 0.157 -0.341
C 1.017 0.749 0.918
C 0.453 1.093 -0.476
C -2.490 -0.794 0.290
C 2.061 -0.983 -0.387
N 0.781 -0.319 -0.102
H -1.362 2.343 -0.621
H 2.076 1.115 1.055
H 0.221 0.916 1.753
H 1.191 1.519 -1.067
H -2.004 -1.700 0.240
H -3.345 -1.156 -0.376
H -2.808 -0.585 1.278
H 1.767 -1.806 -1.087
H 2.604 -0.425 -1.063
H 2.529 -1.378 0.468
*
```

***

DFT (ωB97M-V/def2-TZVPD) results for an isolated ion of composition CNO2S2 and charge -1 in a non-equilibrium geometry.

Properties
highest occupied orbital energy = -4.42 eV
lowest unoccupied orbital energy = 3.532 eV
gap between HOMO and LUMO = 7.95 eV
relative energy (zero: lowest compared OMol25 entry of this formula, charge and spin) = 0.329 eV

Structure (ORCA input):
```
! wB97M-V def2-TZVPD RIJCOSX def2/J DEFGRID3
* xyz -1 1
C 1.492 -0.139 -0.302
N 0.596 0.368 -0.941
O -1.276 -0.803 0.903
O -2.224 0.885 -0.618
S 2.552 -0.775 0.664
S -1.139 0.464 0.295
*
```

***

Repeat the first record exactly.
DFT (ωB97M-V/def2-TZVPD) results for C3H3InO3 as an isolated structure in a non-equilibrium geometry.

Properties
highest occupied orbital energy (alpha / beta) = -21.79 / -19.26 eV
lowest unoccupied orbital energy (alpha / beta) = -12.003 / -13.941 eV
gap between HOMO and LUMO (alpha / beta) = 9.79 / 5.32 eV
relative energy (zero: lowest compared OMol25 entry of this formula, charge and spin) = 0.000 eV

Structure (ORCA input):
```
! wB97M-V def2-TZVPD RIJCOSX def2/J DEFGRID3
* xyz 2 1
C 0.134 -0.276 1.255
O 0.362 -0.094 -1.787
C 0.697 0.696 -0.858
C -0.819 -1.151 0.958
O 1.027 0.290 0.352
O 0.664 1.946 -1.055
H 0.292 0.141 2.249
H -0.925 -1.607 -0.024
H -1.516 -1.432 1.747
In 0.084 1.488 -2.836
*
```

***

Question: What is the formula in the first record?
Answer: C3H3InO3

***

Question: Number 3 is which compound?
Answer: CNO2S2

***

Question: What is the relative energy (zero: lowest compared OMol25 entry of this formula, charge and spin) in the third record?
Answer: 0.329 eV

=====

Entry 1:
Formula: C40H56F9O8P5ReSi
Source: OMol25
Level of theory: ωB97M-V with the def2-TZVPD basis set

expectation value of S²: 3.78
2S+1: 4
E_HOMO (alpha / beta): -7.7662 / -7.7655 eV
gap between HOMO and LUMO (alpha / beta): 6.96 / 5.39 eV
LUMO energy (alpha / beta): -0.810 / -2.374 eV

XYZ file:
```
120
Properties=species:S:1:pos:R:3:forces:R:3
Re 0.159 -0.031 -0.621 -0.8 0.0 0.2
C -1.546 4.030 -3.300 0.0 0.0 0.0
C -0.644 2.833 -2.974 0.0 0.0 0.1
C -0.995 1.672 -3.894 0.0 0.0 0.0
P -0.510 2.405 -1.168 0.1 0.0 0.1
C -1.964 2.935 -0.118 0.0 0.0 0.0
C -3.321 2.922 -0.826 0.0 0.1 -0.1
C -1.746 4.268 0.600 0.0 0.0 0.0
C 0.827 3.533 -0.634 -0.1 0.0 0.0
C 1.039 4.787 -1.206 0.0 0.0 0.0
C 2.056 5.600 -0.734 0.0 0.0 0.0
C 2.866 5.169 0.310 0.0 0.0 0.0
C 2.660 3.919 0.869 0.0 0.0 0.0
C 1.637 3.089 0.406 0.0 0.0 0.0
## Result
DFT (ωB97M-V/def2-TZVPD) results for C3H3InO3 as an isolated structure in a non-equilibrium geometry.

Properties
highest occupied orbital energy (alpha / beta) = -21.79 / -19.26 eV
lowest unoccupied orbital energy (alpha / beta) = -12.003 / -13.941 eV
gap between HOMO and LUMO (alpha / beta) = 9.79 / 5.32 eV
relative energy (zero: lowest compared OMol25 entry of this formula, charge and spin) = 0.000 eV

Structure (ORCA input):
```
! wB97M-V def2-TZVPD RIJCOSX def2/J DEFGRID3
* xyz 2 1
C 0.134 -0.276 1.255
O 0.362 -0.094 -1.787
C 0.697 0.696 -0.858
C -0.819 -1.151 0.958
O 1.027 0.290 0.352
O 0.664 1.946 -1.055
H 0.292 0.141 2.249
H -0.925 -1.607 -0.024
H -1.516 -1.432 1.747
In 0.084 1.488 -2.836
*
```

***

DFT (ωB97M-V/def2-TZVPD) results for an isolated ion of composition C6H10N and charge +1 in a non-equilibrium geometry.

Properties
highest occupied orbital energy = -13.85 eV
lowest unoccupied orbital energy = -6.109 eV
gap between HOMO and LUMO = 7.74 eV
relative energy (zero: lowest compared OMol25 entry of this formula, charge and spin) = 4.457 eV

Structure (ORCA input):
```
! wB97M-V def2-TZVPD RIJCOSX def2/J DEFGRID3
* xyz 1 1
C -1.029 1.253 -0.483
C -1.663 0.157 -0.341
C 1.017 0.749 0.918
C 0.453 1.093 -0.476
C -2.490 -0.794 0.290
C 2.061 -0.983 -0.387
N 0.781 -0.319 -0.102
H -1.362 2.343 -0.621
H 2.076 1.115 1.055
H 0.221 0.916 1.753
H 1.191 1.519 -1.067
H -2.004 -1.700 0.240
H -3.345 -1.156 -0.376
H -2.808 -0.585 1.278
H 1.767 -1.806 -1.087
H 2.604 -0.425 -1.063
H 2.529 -1.378 0.468
*
```

***

DFT (ωB97M-V/def2-TZVPD) results for an isolated ion of composition CNO2S2 and charge -1 in a non-equilibrium geometry.

Properties
highest occupied orbital energy = -4.42 eV
lowest unoccupied orbital energy = 3.532 eV
gap between HOMO and LUMO = 7.95 eV
relative energy (zero: lowest compared OMol25 entry of this formula, charge and spin) = 0.329 eV

Structure (ORCA input):
```
! wB97M-V def2-TZVPD RIJCOSX def2/J DEFGRID3
* xyz -1 1
C 1.492 -0.139 -0.302
N 0.596 0.368 -0.941
O -1.276 -0.803 0.903
O -2.224 0.885 -0.618
S 2.552 -0.775 0.664
S -1.139 0.464 0.295
*
```

***

Repeat the first record exactly.
DFT (ωB97M-V/def2-TZVPD) results for C3H3InO3 as an isolated structure in a non-equilibrium geometry.

Properties
highest occupied orbital energy (alpha / beta) = -21.79 / -19.26 eV
lowest unoccupied orbital energy (alpha / beta) = -12.003 / -13.941 eV
gap between HOMO and LUMO (alpha / beta) = 9.79 / 5.32 eV
relative energy (zero: lowest compared OMol25 entry of this formula, charge and spin) = 0.000 eV

Structure (ORCA input):
```
! wB97M-V def2-TZVPD RIJCOSX def2/J DEFGRID3
* xyz 2 1
C 0.134 -0.276 1.255
O 0.362 -0.094 -1.787
C 0.697 0.696 -0.858
C -0.819 -1.151 0.958
O 1.027 0.290 0.352
O 0.664 1.946 -1.055
H 0.292 0.141 2.249
H -0.925 -1.607 -0.024
H -1.516 -1.432 1.747
In 0.084 1.488 -2.836
*
```

***

Question: What is the formula in the first record?
Answer: C3H3InO3

***

Question: Number 3 is which compound?
Answer: CNO2S2

***

Question: What is the relative energy (zero: lowest compared OMol25 entry of this formula, charge and spin) in the third record?
Answer: 0.329 eV

=====

Entry 1:
Formula: C40H56F9O8P5ReSi
Source: OMol25
Level of theory: ωB97M-V with the def2-TZVPD basis set

expectation value of S²: 3.78
2S+1: 4
E_HOMO (alpha / beta): -7.7662 / -7.7655 eV
gap between HOMO and LUMO (alpha / beta): 6.96 / 5.39 eV
LUMO energy (alpha / beta): -0.810 / -2.374 eV

XYZ file:
```
120
Properties=species:S:1:pos:R:3:forces:R:3
Re 0.159 -0.031 -0.621 -0.8 0.0 0.2
C -1.546 4.030 -3.300 0.0 0.0 0.0
C -0.644 2.833 -2.974 0.0 0.0 0.1
C -0.995 1.672 -3.894 0.0 0.0 0.0
P -0.510 2.405 -1.168 0.1 0.0 0.1
C -1.964 2.935 -0.118 0.0 0.0 0.0
C -3.321 2.922 -0.826 0.0 0.1 -0.1
C -1.746 4.268 0.600 0.0 0.0 0.0
C 0.827 3.533 -0.634 -0.1 0.0 0.0
C 1.039 4.787 -1.206 0.0 0.0 0.0
C 2.056 5.600 -0.734 0.0 0.0 0.0
C 2.866 5.169 0.310 0.0 0.0 0.0
C 2.660 3.919 0.869 0.0 0.0 0.0
C 1.637 3.089 0.406 0.0 0.0 0.0